Exercise.
Find "20.4" and "data_ReNiRh" in the rows further down, and write out these two lines and those between.
Contents.
┌──
1.
This entry pairs a crystal structure of ReNi3 with its theoretical powder XRD pattern. Radiation: λ = 1.5418 Å (Cu Kα). Structure: a PBE-relaxed structure.

Most intense lines, 10° ≤ 2θ ≤ 80°, in order of rising 2θ:
h k l  two_theta  intensity
0 0 1  20.4  33
2 0 0  21.3  29
2 0 -1  26.9  16
2 0 1  32.2  11
1 1 0  36.4  16
1 1 -1  41.1  11
1 1 1  43.1  100
4 0 0  43.4  98
3 1 -1  50.2  63
2 0 2  50.6  31
5 1 1  74.0  19
1 1 -3  74.1  19

```
data_ReNi3
_space_group_name_H-M_alt 'C 1 2/m 1'
_space_group_IT_number 12
_cell_length_a 8.4756
_cell_length_b 2.5832
_cell_length_c 4.4154
_cell_angle_alpha 90.00
_cell_angle_beta 100.03
_cell_angle_gamma 90.00
loop_
_space_group_symop_operation_xyz
'x,y,z'
'-x,-y,-z'
'-x,y,-z'
'x,-y,z'
'x+1/2,y+1/2,z'
'-x+1/2,-y+1/2,-z'
'-x+1/2,y+1/2,-z'
'x+1/2,-y+1/2,z'
loop_
_atom_site_label
_atom_site_fract_x
_atom_site_fract_y
_atom_site_fract_z
_atom_site_occupancy
Re1 0.0000 0.0000 0.0000 1
Ni1 0.0000 0.5000 0.5000 1
Ni2 0.2485 0.0000 0.7515 1
```

2.
This entry pairs a crystal structure of Re2Ni5Rh12 with its theoretical powder XRD pattern. Radiation: λ = 1.5418 Å (Cu Kα). Structure: a PBE-relaxed structure.

Most intense lines, 10° ≤ 2θ ≤ 80°, in order of rising 2θ:
h k l  two_theta  intensity
2 0 -2  23.8  30
4 0 -1  26.2  29
0 2 1  35.6  20
6 0 -1  38.9  30
4 0 2  39.4  24
6 0 0  40.0  19
2 0 3  40.5  35
0 2 2  41.2  19
2 2 -2  41.6  100
2 0 -4  46.0  40
4 2 1  46.5  77
6 0 -3  47.1  24

```
data_Re2Ni5Rh12
_space_group_name_H-M_alt 'C 1 2/m 1'
_space_group_IT_number 12
_cell_length_a 13.9161
_cell_length_b 5.3347
_cell_length_c 7.8982
_cell_angle_alpha 90.00
_cell_angle_beta 103.43
_cell_angle_gamma 90.00
loop_
_space_group_symop_operation_xyz
'x,y,z'
'-x,-y,-z'
'-x,y,-z'
'x,-y,z'
'x+1/2,y+1/2,z'
'-x+1/2,-y+1/2,-z'
'-x+1/2,y+1/2,-z'
'x+1/2,-y+1/2,z'
loop_
_atom_site_label
_atom_site_fract_x
_atom_site_fract_y
_atom_site_fract_z
_atom_site_occupancy
Re1 0.0000 0.2294 0.0000 1
Ni1 0.0000 0.5000 0.5000 1
Ni2 0.1301 0.0000 0.8777 1
Ni3 0.2104 0.0000 0.3994 1
Rh1 0.0262 0.0000 0.3331 1
Rh2 0.0778 0.5000 0.2620 1
Rh3 0.1417 0.2450 0.6094 1
Rh4 0.2057 0.2549 0.1291 1
```

3.
This entry pairs a crystal structure of ReNi3Rh with its theoretical powder XRD pattern. Radiation: λ = 1.5418 Å (Cu Kα). Structure: a PBE-relaxed structure.

Most intense lines, 10° ≤ 2θ ≤ 80°, in order of rising 2θ:
h k l  two_theta  intensity
0 0 1  14.5  88
2 1 0  39.6  33
1 0 2  40.0  23
1 1 -2  40.4  37
0 2 2  42.6  100
1 -1 1  45.0  65
2 0 -1  45.1  58
2 2 1  45.3  62
1 2 -1  45.4  57
1 1 3  46.1  60
1 0 -3  46.4  55
3 1 2  71.9  22

```
data_ReNi3Rh
_space_group_name_H-M_alt 'P -1'
_space_group_IT_number 2
_cell_length_a 4.5510
_cell_length_b 5.0028
_cell_length_c 6.5829
_cell_angle_alpha 70.65
_cell_angle_beta 89.71
_cell_angle_gamma 63.35
loop_
_space_group_symop_operation_xyz
'x,y,z'
'-x,-y,-z'
loop_
_atom_site_label
_atom_site_fract_x
_atom_site_fract_y
_atom_site_fract_z
_atom_site_occupancy
Re1 0.2255 0.1994 0.0531 1
Ni1 0.0331 0.6126 0.6395 1
Ni2 0.1627 0.0126 0.7443 1
Ni3 0.4295 0.8116 0.4475 1
Rh1 0.3739 0.5905 0.1612 1
```

4.
This entry pairs a crystal structure of ReNiRh with its theoretical powder XRD pattern. Radiation: λ = 1.5418 Å (Cu Kα). Structure: a PBE-relaxed structure.

Most intense lines, 10° ≤ 2θ ≤ 80°, in order of rising 2θ:
h k l  two_theta  intensity
0 0 2  22.2  15
1 1 1  30.5  19
0 2 0  39.0  24
2 0 0  41.9  27
1 1 3  44.5  100
2 0 2  47.9  4
1 2 2  50.3  3
2 2 0  58.5  15
1 2 4  65.3  4
0 0 6  70.5  5
0 3 3  70.7  11
3 1 3  78.3  19

```
data_ReNiRh
_space_group_name_H-M_alt 'A m a 2'
_space_group_IT_number 40
_cell_length_a 4.3152
_cell_length_b 4.6136
_cell_length_c 8.0156
_cell_angle_alpha 90.00
_cell_angle_beta 90.00
_cell_angle_gamma 90.00
loop_
_space_group_symop_operation_xyz
'x,y,z'
'-x,-y,z'
'-x+1/2,y,z'
'x+1/2,-y,z'
'x,y+1/2,z+1/2'
'-x,-y+1/2,z+1/2'
'-x+1/2,y+1/2,z+1/2'
'x+1/2,-y+1/2,z+1/2'
loop_
_atom_site_label
_atom_site_fract_x
_atom_site_fract_y
_atom_site_fract_z
└──
Here it is.
0 0 1  20.4  33
2 0 0  21.3  29
2 0 -1  26.9  16
2 0 1  32.2  11
1 1 0  36.4  16
1 1 -1  41.1  11
1 1 1  43.1  100
4 0 0  43.4  98
3 1 -1  50.2  63
2 0 2  50.6  31
5 1 1  74.0  19
1 1 -3  74.1  19

```
data_ReNi3
_space_group_name_H-M_alt 'C 1 2/m 1'
_space_group_IT_number 12
_cell_length_a 8.4756
_cell_length_b 2.5832
_cell_length_c 4.4154
_cell_angle_alpha 90.00
_cell_angle_beta 100.03
_cell_angle_gamma 90.00
loop_
_space_group_symop_operation_xyz
'x,y,z'
'-x,-y,-z'
'-x,y,-z'
'x,-y,z'
'x+1/2,y+1/2,z'
'-x+1/2,-y+1/2,-z'
'-x+1/2,y+1/2,-z'
'x+1/2,-y+1/2,z'
loop_
_atom_site_label
_atom_site_fract_x
_atom_site_fract_y
_atom_site_fract_z
_atom_site_occupancy
Re1 0.0000 0.0000 0.0000 1
Ni1 0.0000 0.5000 0.5000 1
Ni2 0.2485 0.0000 0.7515 1
```

2.
This entry pairs a crystal structure of Re2Ni5Rh12 with its theoretical powder XRD pattern. Radiation: λ = 1.5418 Å (Cu Kα). Structure: a PBE-relaxed structure.

Most intense lines, 10° ≤ 2θ ≤ 80°, in order of rising 2θ:
h k l  two_theta  intensity
2 0 -2  23.8  30
4 0 -1  26.2  29
0 2 1  35.6  20
6 0 -1  38.9  30
4 0 2  39.4  24
6 0 0  40.0  19
2 0 3  40.5  35
0 2 2  41.2  19
2 2 -2  41.6  100
2 0 -4  46.0  40
4 2 1  46.5  77
6 0 -3  47.1  24

```
data_Re2Ni5Rh12
_space_group_name_H-M_alt 'C 1 2/m 1'
_space_group_IT_number 12
_cell_length_a 13.9161
_cell_length_b 5.3347
_cell_length_c 7.8982
_cell_angle_alpha 90.00
_cell_angle_beta 103.43
_cell_angle_gamma 90.00
loop_
_space_group_symop_operation_xyz
'x,y,z'
'-x,-y,-z'
'-x,y,-z'
'x,-y,z'
'x+1/2,y+1/2,z'
'-x+1/2,-y+1/2,-z'
'-x+1/2,y+1/2,-z'
'x+1/2,-y+1/2,z'
loop_
_atom_site_label
_atom_site_fract_x
_atom_site_fract_y
_atom_site_fract_z
_atom_site_occupancy
Re1 0.0000 0.2294 0.0000 1
Ni1 0.0000 0.5000 0.5000 1
Ni2 0.1301 0.0000 0.8777 1
Ni3 0.2104 0.0000 0.3994 1
Rh1 0.0262 0.0000 0.3331 1
Rh2 0.0778 0.5000 0.2620 1
Rh3 0.1417 0.2450 0.6094 1
Rh4 0.2057 0.2549 0.1291 1
```

3.
This entry pairs a crystal structure of ReNi3Rh with its theoretical powder XRD pattern. Radiation: λ = 1.5418 Å (Cu Kα). Structure: a PBE-relaxed structure.

Most intense lines, 10° ≤ 2θ ≤ 80°, in order of rising 2θ:
h k l  two_theta  intensity
0 0 1  14.5  88
2 1 0  39.6  33
1 0 2  40.0  23
1 1 -2  40.4  37
0 2 2  42.6  100
1 -1 1  45.0  65
2 0 -1  45.1  58
2 2 1  45.3  62
1 2 -1  45.4  57
1 1 3  46.1  60
1 0 -3  46.4  55
3 1 2  71.9  22

```
data_ReNi3Rh
_space_group_name_H-M_alt 'P -1'
_space_group_IT_number 2
_cell_length_a 4.5510
_cell_length_b 5.0028
_cell_length_c 6.5829
_cell_angle_alpha 70.65
_cell_angle_beta 89.71
_cell_angle_gamma 63.35
loop_
_space_group_symop_operation_xyz
'x,y,z'
'-x,-y,-z'
loop_
_atom_site_label
_atom_site_fract_x
_atom_site_fract_y
_atom_site_fract_z
_atom_site_occupancy
Re1 0.2255 0.1994 0.0531 1
Ni1 0.0331 0.6126 0.6395 1
Ni2 0.1627 0.0126 0.7443 1
Ni3 0.4295 0.8116 0.4475 1
Rh1 0.3739 0.5905 0.1612 1
```

4.
This entry pairs a crystal structure of ReNiRh with its theoretical powder XRD pattern. Radiation: λ = 1.5418 Å (Cu Kα). Structure: a PBE-relaxed structure.

Most intense lines, 10° ≤ 2θ ≤ 80°, in order of rising 2θ:
h k l  two_theta  intensity
0 0 2  22.2  15
1 1 1  30.5  19
0 2 0  39.0  24
2 0 0  41.9  27
1 1 3  44.5  100
2 0 2  47.9  4
1 2 2  50.3  3
2 2 0  58.5  15
1 2 4  65.3  4
0 0 6  70.5  5
0 3 3  70.7  11
3 1 3  78.3  19

```
data_ReNiRh